About the history of smoking in Austria and the Austrian tobacco monopoly
 1784: foundation of the Austrian monopolyIn 1784 the Austrian tobacco monopoly "Kaiserlich-Königliche Tabakregie" was founded by Emperer Joseph I (commemorated in 1934 by the brand Jubiläums-Zigaretten). The monopoly was very efficient but after the dead of emperor Joseph I in 1790, the new emperor Leopold wanted to decentralize it. In the 18th century, only pipe tobacco was produced. Later the production of tobacco snuff started and in 1818, first Austrian cigars have been sold.
When French and English soldiers, who had fought alongside Turkish troops against Russia returned from the Crimean War, having experienced for the first time the Russian "papyrossi", a new smoking culture began to develop, namely cigarette smoking.
1865: Austrians first cigarette brand
As a result, in 1865, the Austrian tobacco monopoly produced its first cigarette , called Ordinäre Doppelzigarette, in two factories in Vienna, the Austrian capital and one factory in Hainburg (which still exists)(For the 100th anniversary, there was a special edition with pictures of old Austrian cig packs on it). It was sold for the price of 3 Kreuzer. The first cigarette brand in Austria was twice as long as the cigarettes of today and there were mouth pieces at both ends of the cigarette - so it was necessary to cut it through the middle before use. Although there have been used machines for its production, there was still lot of hand-made work to do.
In 1865 they sold 3 Millions and 1866 16 Millions pieces of this double cigarette. In 1866 the Österreichische Tabakregie started with the production of "Feine Cigarretten" in Hainburg. In 1871 the first small packets of 10 or 15 cigarettes, called "Kapseln" were produced.
1873: ten brands on the market
In 1873, the brand range was increased to this labels: Superfeine Cigarretten, Feinste, Bafra, Feine Damen, Feinste Damen, Feinste and Feine Trapezunter, Salon, Samsun, Stambul and Sultan. The oriental sounding names reflected the use of tobacco from the Orient.
Especially for the presentation at the world exposition in Vienna was launched a new brand: Austria. In the same year, thre have been sold 64 brands of cigars in Austria.
In 1877 the k.u.k. Tabakregie launched 10 different test brands (Bektemis, Fitschirti, Gelepli, Ingies, Kiriziller, La Conquette, La Force, Mursal, Oksilar and Tschakirli for a period of 5 years to find out, which brands the smokers prefer. At first, it was hard to sale cigarettes.
1871: 17 million pieces
1876: 51 million pieces
1881: 81 million pieces
1882: a fast growing market for cigarettes
The break-through was in 1882, when there have been 123 millions cigarettes sold in the Austrian monarchy. Since this year, thee growth rate was 100 and later 200 milions a year - up to 3.000 million cigarettes, sold in 1900. The cigarette market was aimed primarily at the working class because the cigarettes were cheaper than cigars and its taste was stronger.
1880īs: the birth of two best-sellers
Two of the cheaper new labels, which came on the market since 1882, became best sellers: Sport (which was the renamed brand La Force, the winner of the test marketing before and as Sport for decades the most sold brand in Austria), and Drama. To manage the high demand especially for Drama, it was necessary to use production machines with motors, which started in 1883. It was a cheap brand in a quite cheap package. In 1892 Drama was the best-seller with 800 milion pieces a year and so the Österreichische k.u.k. Tabakregie invested in modern machines of Bonsack for the cigarette production. In 1896 modern machines in Hainburg produced 60.000 cigarettes a day. Because of the fact, that the Austrian monopoly would need twice as many machines, still a lot of the production, especially of Sport was made by female manual workers, whose products have been a higher quality than the machine-made cigarettes. In 1900 there have been almost 7.000 women working in the factories of the Austrian monarchy. Up to 1891, as machines replaced them, boys have been used as manual workers, to put the mouth pieces into the cigarette paper.
Other brands of this time, now long forgotten, were for example Fitschirti, Kiriziller, Vezir, Imperialesor Okzilar, Anubis, Jussuf, Azur and Sphinx.
19th century: luxury cigarettes, imported from Egypt
The more luxurious brands were produced in Cairo (for example Hanum). The Österreichische k.u.k. Tabakregie imported them directly and sold them in special shops.
In the 19th century, many new brands appeared which have been sold in Austria for a very long time.
Some other brands from the monarchy period survived the end of the monarchy, i.e.
- Amneris
Inserted here: data records:
[1]
DFT (PBE-GGA) results for a geometry-optimized CaAlCd3 structure.

The structure in POSCAR format:
```
CaAlCd3
1.0
-0.579 6.413 1.150
-4.204 1.602 4.752
4.736 -0.345 4.306
Cd Ca Al
6 2 2
Cartesian
1.271 0.959 3.950
0.848 1.285 6.828
-2.791 3.975 3.888
0.001 3.477 3.163
2.369 3.304 5.316
-1.520 1.457 4.675
-0.651 0.388 1.247
-0.868 4.546 6.591
1.827 5.473 3.700
-3.926 5.873 5.288
```

Properties
The energy relative to the lowest polymorph listed for this composition comes out at 0.0 meV per atom. For the formation energy, the calculation gives -149 meV per atom. As for the volume: 248.4 Å³/cell.

[2]
DFT (PBE-GGA) results for a geometry-optimized Zr2CdP structure.

The structure in POSCAR format:
```
Zr2CdP
1.0
-2.771 -1.398 -0.893
0.585 -2.450 2.021
-3.644 3.691 5.529
Zr P Cd
2 1 1
Cartesian
-1.074 1.088 1.629
-2.570 2.603 3.899
-2.915 -0.079 3.328
-1.093 -1.924 0.564
```

Properties
The energy relative to the lowest polymorph listed for this composition comes out at 210.6 meV per atom. For the formation energy, the calculation gives -522 meV per atom. As for the volume: 79.1 Å³/cell.

[3]
DFT (PBE-GGA) results for a geometry-optimized TlZnCu2 structure.

The structure in POSCAR format:
```
TlZnCu2
1.0
7.239 0.000 0.000
0.000 7.239 0.000
3.619 3.619 2.730
Zn Tl Cu
2 2 4
Cartesian
3.619 3.619 0.000
3.619 7.239 1.365
7.239 3.619 1.365
0.000 0.000 0.000
2.037 5.429 0.683
5.202 1.810 0.683
5.429 5.656 2.048
9.048 8.821 2.048
```

Properties
The energy relative to the lowest polymorph listed for this composition comes out at 205.2 meV per atom. For the formation energy, the calculation gives 365 meV per atom. As for the volume: 143.1 Å³/cell.

~~~~~

*P*
## SrZrIO2 (PBE)

Data for a relaxed structure of SrZrIO2.

abc: 4.3068 4.3068 5.9714
angles: 90.00 90.00 90.00
Last column: nearest neighbours and their distance in Å.
Positions (direct):
Sr1 0.0000 0.0000 0.0000  4 I 3.05
Zr1 0.5000 0.5000 0.5000  4 O 2.15
I1 0.5000 0.5000 0.0000  2 Zr 2.99, 4 Sr 3.05
O1 0.0000 0.5000 0.5000  2 Zr 2.15
O2 0.5000 0.0000 0.5000  2 Zr 2.15

Properties
Fermi-level density of states ... 1.9 states/eV per cell
M_tot ... 0.00 Bohr magnetons per cell
SG ... P4/mmm

***

*Q*
## SrZrIO2 (PBE)

Data for a relaxed structure of SrZrIO2.

abc: 4.5974 4.5974 6.0170
angles: 90.00 90.00 90.00
Last column: nearest neighbours and their distance in Å.
Positions (direct):
Sr1 0.0000 0.0000 0.0000  4 O 2.30
Zr1 0.5000 0.5000 0.5000  4 I 3.25
I1 0.0000 0.0000 0.5000  2 Sr 3.01, 4 Zr 3.25
O1 0.0000 0.5000 0.0000  2 Sr 2.30
O2 0.5000 0.0000 0.0000  2 Sr 2.30

Properties
Fermi-level density of states ... 5.5 states/eV per cell
M_tot ... 0.98 Bohr magnetons per cell
SG ... P4/mmm

***

*P* takes first place; second place is 1521 meV per atom up.

***

*P*
## TaI2O2 (PBE)

Data for a relaxed structure of TaI2O2.

abc: 5.0162 5.0162 3.5027
angles: 90.00 90.00 90.00
Last column: nearest neighbours and their distance in Å.
Positions (direct):
Ta1 0.0000 0.0000 0.0000  8 I 3.06
- Khedive, here as tin and as a paper pack for 100 pieces.
- Memphis, which emerged in 1896 (since 2005 a new strong brand in a soft pack, Memphis 1896 reminds to it) and was named after Memphis in Egypt because of its oriental tobaccos is today - now named after Memphis, Tennessee and with an American blend - with its lot of variations still one of the best sold brands in Austria.
- Moeris
- Dames, here as tin, as paper pack and a less colorful paper back for 100 pieces.
1917: Highest selling rate in the monarchy
Finally, in 1908 the cigarette was the bestselling smoking product. In 1917 Austria produced 1358 millions of cigarettes - the highest quantity ever during the monarchy period. This was in the third year of the World War I. Wars always have been a time of good sales rates, as well for the k.k. Tabakregie. In Styria, for example children have had to roll cigarettes for the soldiers on their way to the frontline. Because the cigarette, which only need a short time to consume (in contrast to pipes, cigars or cigarillos) was very suitable for a modern war with a high speed.
1918: The end of the k.k. Tabakregie
In 1918, with the end of the war, the Austrian monarchy was at the end. Austria shrinked from a big empire to a small country. With this, Austria lost as well its cigarette factories, like in Ljubljana (Slovenia), founded in 1871 (and closed in 2004 after Imperial Tobacco overtook Reemtsma), in Sarajevo (Bosnia) and in Rovinj (Croatia). The rest of the empire started now as the democratic republic of "Deutsch-Österreich".
Used literature/sources:
**These records of crystals were left in the page by mistake:**
********
# LaTe2Cl | the Alexandria database | PBE | relaxed
data_LaTe2Cl
_chemical_formula_sum 'La2 Te4 Cl2'
_symmetry_space_group_name_H-M 'I -4 m 2'
_symmetry_Int_Tables_number 119
_symmetry_space_group_name_Hall 'I -4 -2'
_cell_length_a 4.900
_cell_length_b 4.900
_cell_length_c 9.532
_cell_angle_alpha 90.00
_cell_angle_beta 90.00
_cell_angle_gamma 90.00
loop_
_atom_site_label
_atom_site_type_symbol
_atom_site_fract_x
_atom_site_fract_y
_atom_site_fract_z
_atom_site_occupancy
La1 La 0.000 0.000 0.000 1
Te1 Te 0.000 0.000 0.500 1
Te2 Te 0.000 0.500 0.750 1
Cl1 Cl 0.000 0.500 0.250 1
# **Theoretical density**: 6.2 g/cm3
# **Formation energy from raw total energies**: -0.9685 eV/atom
# **ΔE to the lowest computed polymorph**: 338.9 meV per atom


# 1
# PBE Cu2Bi2S, optimized geometry
# - calculated volume (Å³ per atom) = 20.90
data_Cu2Bi2S
_chemical_formula_sum 'Cu4 Bi4 S2'
_symmetry_space_group_name_H-M 'I 4/m m m'
_symmetry_Int_Tables_number 139
_symmetry_space_group_name_Hall '-I 4 2'
_cell_length_a 3.5809
_cell_length_b 3.5809
_cell_length_c 16.2965
_cell_angle_alpha 90.00
_cell_angle_beta 90.00
_cell_angle_gamma 90.00
loop_
_atom_site_label
_atom_site_type_symbol
_atom_site_fract_x
_atom_site_fract_y
_atom_site_fract_z
Cu1 Cu 0.0000 0.5000 0.2500
Bi1 Bi 0.0000 0.0000 0.1110
S1 S 0.0000 0.0000 0.5000

---

# 2
# PBE CuBi5S8, optimized geometry
# - calculated volume (Å³ per atom) = 27.22
data_CuBi5S8
_chemical_formula_sum 'Cu4 Bi20 S32'
_symmetry_space_group_name_H-M 'F -4 3 m'
_symmetry_Int_Tables_number 216
_symmetry_space_group_name_Hall 'F -4 2 3'
_cell_length_a 11.5089
_cell_length_b 11.5089
_cell_length_c 11.5089
_cell_angle_alpha 90.00
_cell_angle_beta 90.00
_cell_angle_gamma 90.00
loop_
_atom_site_label
_atom_site_type_symbol
_atom_site_fract_x
_atom_site_fract_y
_atom_site_fract_z
Cu1 Cu 0.0000 0.0000 0.0000
Bi1 Bi 0.1308 0.1308 0.6308
Bi2 Bi 0.2500 0.2500 0.2500
S1 S 0.1157 0.1157 0.3843
S2 S 0.1220 0.1220 0.8780

---
********
- Trost Ernst, Zur allgemeinen Erleichterung ... (Vienna 1984);
This record from OQMD describes an optimized crystal structure of NdDy2Mg3CdGa2. The functional is PBE.

Lattice parameters (Å, degrees): 4.514 7.442 7.442 120.68 90.00 90.00
Sites, in units of the cell vectors:
1 Dy 0.000 0.571 0.002
2 Dy 0.000 0.002 0.571
3 Mg 0.500 0.248 0.000
4 Mg 0.500 0.751 0.751
5 Mg 0.500 0.000 0.248
6 Cd 0.000 0.993 0.993
7 Ga 0.500 0.672 0.333
8 Ga 0.500 0.333 0.672
9 Nd 0.000 0.430 0.430

Values from the calculation:
Total moment, μB/f.u.: 0.00
Calculated density, g cm⁻³: 6.1
Space-group type: Amm2 (38)
E, eV/atom: -3.277

* * * * *

(1)
A plane-wave DFT calculation with PBE was carried out for a geometry-optimized YBeNiPb structure. Values from VASP.

The structure in Quantum ESPRESSO input format:
```
&SYSTEM
  ibrav = 0, nat = 4, ntyp = 4
/
ATOMIC_SPECIES
Y 88.91 Y.upf
Be 9.01 Be.upf
Ni 58.69 Ni.upf
Pb 207.20 Pb.upf
ATOMIC_POSITIONS angstrom
Y 0.000 0.000 0.000
Be 1.649 1.649 1.649
Ni 4.947 4.947 4.947
Pb 3.298 3.298 3.298
CELL_PARAMETERS angstrom
0.000 3.298 3.298
3.298 0.000 3.298
3.298 3.298 0.000
```

Its crystal system is cubic. The space-group type is No. 216. The spin magnetization comes out at 0.0 μB/f.u.

=====

(2)
A plane-wave DFT calculation with PBE was carried out for a geometry-optimized NbHgNO structure. Values from VASP.

The structure in Quantum ESPRESSO input format:
```
&SYSTEM
  ibrav = 0, nat = 8, ntyp = 4
/
ATOMIC_SPECIES
Nb 92.91 Nb.upf
Hg 200.59 Hg.upf
N 14.01 N.upf
O 16.00 O.upf
ATOMIC_POSITIONS angstrom
Nb 1.020 3.060 0.000
Nb 3.060 1.020 0.000
Hg 1.020 1.020 2.327
Hg 3.060 3.060 4.424
N 1.020 1.020 6.137
N 3.060 3.060 0.614
O 1.020 3.060 3.375
O 3.060 1.020 3.375
CELL_PARAMETERS angstrom
4.080 0.000 0.000
0.000 4.080 0.000
0.000 0.000 6.751
```

Its crystal system is tetragonal. The space-group type is No. 129. The spin magnetization comes out at 0.0 μB/f.u.

=====

(3)
A plane-wave DFT calculation with PBE was carried out for a geometry-optimized PrDyFe2Si4 structure. Values from VASP.

The structure in Quantum ESPRESSO input format:
```
&SYSTEM
  ibrav = 0, nat = 8, ntyp = 4
/
ATOMIC_SPECIES
Pr 140.91 Pr.upf
Dy 162.50 Dy.upf
Fe 55.84 Fe.upf
Si 28.09 Si.upf
ATOMIC_POSITIONS angstrom
Pr 0.000 0.000 0.000
Dy 2.012 0.000 3.513
Fe 0.000 0.000 12.910
Fe 2.012 0.000 6.965
Si 0.000 0.000 5.794
Si 0.000 0.000 10.693
Si 2.012 0.000 9.263
Si 2.012 0.000 14.019
CELL_PARAMETERS angstrom
4.024 0.000 0.000
0.000 2.067 8.207
0.000 -2.067 8.207
```

Its crystal system is orthorhombic. The space-group type is No. 38. The spin magnetization comes out at 1.5 μB/f.u.

=====

(4)
A plane-wave DFT calculation with PBE was carried out for a geometry-optimized LiHfTlS3 structure. Values from VASP.

The structure in Quantum ESPRESSO input format:
```
&SYSTEM
  ibrav = 0, nat = 12, ntyp = 4
/
ATOMIC_SPECIES
Li 6.94 Li.upf
Hf 178.49 Hf.upf
Tl 204.38 Tl.upf
S 32.06 S.upf
ATOMIC_POSITIONS angstrom
Li 1.875 6.297 7.512
Li 1.875 -6.297 2.504
Hf 1.875 0.000 0.000
Hf 1.875 0.000 5.008
Tl 1.875 3.785 2.504
- 100 Jahre Tabakfabrik Linz 1850-1950 (Vienna 1950);
- 175 Jahre Österreichische Tabakregie (Vienna 1959)
- Fachliche Mittheilungen der österreichischen Tabakregie, 1. Jahrgang, 3. Heft (Nov. 1901)
- www.zigsam.at/R_Austria.htm (August 2005)